### Given
-- begin --
LaReP2, optimized geometry, DFT PBE; calculated formation energy = -54.96 kJ/mol of atoms; total magnetization = 0.00 μB/f.u.; offset from the most stable computed form = 225 meV per atom; total DFT energy (no corrections) = -60.948 eV/cell
1.0
4.441 0.000 0.000
0.000 3.833 0.000
0.000 0.000 10.611
La Re P
2 2 4
direct
0.000 0.000 0.000 La
0.000 0.500 0.500 La
0.500 0.000 0.232 Re
0.500 0.500 0.732 Re
0.000 0.000 0.284 P
0.000 0.500 0.784 P
0.500 0.000 0.607 P
0.500 0.500 0.107 P

=====

InAgW2, optimized geometry, DFT PBE; calculated formation energy = 67.79 kJ/mol of atoms; total magnetization = 0.00 μB/f.u.; total DFT energy (no corrections) = -114.743 eV/cell
1.0
6.560 0.000 0.000
0.000 6.560 0.000
0.000 0.000 6.560
In Ag W
4 4 8
direct
0.000 0.000 0.000 In
0.000 0.500 0.500 In
0.500 0.000 0.500 In
0.500 0.500 0.000 In
0.250 0.250 0.250 Ag
0.250 0.750 0.750 Ag
0.750 0.250 0.750 Ag
0.750 0.750 0.250 Ag
0.000 0.000 0.500 W
0.000 0.500 0.000 W
0.250 0.250 0.750 W
0.250 0.750 0.250 W
0.500 0.000 0.000 W
0.500 0.500 0.500 W
0.750 0.250 0.250 W
0.750 0.750 0.750 W

=====

SiSb2, optimized geometry, DFT PBE; total magnetization = 0.00 μB/f.u.; raw formation energy = 0.2774 eV per atom; offset from the most stable computed form = 96 meV per atom; total DFT energy (no corrections) = -51.342 eV/cell
1.0
12.338 0.000 0.000
0.000 3.900 0.000
-5.181 0.000 6.611
Si Sb
4 8
direct
0.234 0.000 0.162 Si
0.266 0.500 0.838 Si
0.734 0.500 0.162 Si
0.766 0.000 0.838 Si
0.076 0.000 0.761 Sb
0.155 0.500 0.305 Sb
0.345 0.000 0.695 Sb
0.424 0.500 0.239 Sb
0.576 0.500 0.761 Sb
0.655 0.000 0.305 Sb
0.845 0.500 0.695 Sb
0.924 0.000 0.239 Sb

=====

KAlN2O, optimized geometry, DFT PBE; total magnetization = 4.01 μB/f.u.; raw formation energy = 0.0134 eV per atom; total DFT energy (no corrections) = -26.382 eV/cell
1.0
4.102 0.000 0.000
0.000 4.102 0.000
0.000 0.000 3.797
K Al N O
1 1 2 1
direct
0.000 0.000 0.000 K
0.500 0.500 0.500 Al
0.000 0.500 0.500 N
0.500 0.000 0.500 N
0.500 0.500 0.000 O

=====

Q: Which of these has the highest total DFT energy (no corrections)?
A: KAlN2O

~~~~~

# Rb5CuClO2 | Alexandria | PBE | optimized geometry
# Magnetization (μB/cell): 0.6
# Calculated total energy (eV/atom): -3.3434
# E_form (uncorrected) (meV/atom): -1044
# Volume (Å³ per cell): 301.58
data_Rb5CuClO2
_chemical_formula_sum 'Rb5 Cu1 Cl1 O2'
_space_group_name_H-M_alt 'P 4/m m m'
_space_group_IT_number 123
_space_group_name_Hall '-P 4 2'
_cell_length_a 5.734
_cell_length_b 5.734
_cell_length_c 9.173
_cell_angle_alpha 90.00
_cell_angle_beta 90.00
_cell_angle_gamma 90.00
loop_
_atom_site_label
_atom_site_fract_x
_atom_site_fract_y
_atom_site_fract_z
_atom_site_occupancy
Rb1 0.000 0.000 0.000 1
Rb2 0.000 0.500 0.286 1
Cu1 0.000 0.000 0.500 1
Cl1 0.500 0.500 0.000 1
O1 0.000 0.000 0.300 1

***

# Ba2Sr2C | Alexandria | PBE | optimized geometry
# Magnetization (μB/cell): 2.3
# E_form (eV/atom): 0.74
# Calculated total energy (eV/atom): -2.5500
# Volume (Å³ per cell): 440.52
data_Ba2Sr2C
_chemical_formula_sum 'Ba4 Sr4 C2'
_space_group_name_H-M_alt 'P 4/m b m'
_space_group_IT_number 127
_space_group_name_Hall '-P 4 2ab'
_cell_length_a 7.623
_cell_length_b 7.623
_cell_length_c 7.582
_cell_angle_alpha 90.00
_cell_angle_beta 90.00
_cell_angle_gamma 90.00
loop_
_atom_site_label
_atom_site_fract_x
_atom_site_fract_y
_atom_site_fract_z
_atom_site_occupancy
Ba1 0.180 0.320 0.000 1
Sr1 0.197 0.697 0.500 1
C1 0.000 0.000 0.500 1

***

magnetization of number 1 (Rb5CuClO2)? 0.6 μB/cell

***

Which of these has the highest calculated total energy? Ba2Sr2C
-- stop --

### Request
Retype the whole of the material earlier on without additions.

### Completed
LaReP2, optimized geometry, DFT PBE; calculated formation energy = -54.96 kJ/mol of atoms; total magnetization = 0.00 μB/f.u.; offset from the most stable computed form = 225 meV per atom; total DFT energy (no corrections) = -60.948 eV/cell
1.0
4.441 0.000 0.000
0.000 3.833 0.000
0.000 0.000 10.611
La Re P
2 2 4
direct
0.000 0.000 0.000 La
0.000 0.500 0.500 La
0.500 0.000 0.232 Re
0.500 0.500 0.732 Re
0.000 0.000 0.284 P
0.000 0.500 0.784 P
0.500 0.000 0.607 P
0.500 0.500 0.107 P

=====

InAgW2, optimized geometry, DFT PBE; calculated formation energy = 67.79 kJ/mol of atoms; total magnetization = 0.00 μB/f.u.; total DFT energy (no corrections) = -114.743 eV/cell
1.0
6.560 0.000 0.000
0.000 6.560 0.000
0.000 0.000 6.560
In Ag W
4 4 8
direct
0.000 0.000 0.000 In
0.000 0.500 0.500 In
0.500 0.000 0.500 In
0.500 0.500 0.000 In
0.250 0.250 0.250 Ag
0.250 0.750 0.750 Ag
0.750 0.250 0.750 Ag
0.750 0.750 0.250 Ag
0.000 0.000 0.500 W
0.000 0.500 0.000 W
0.250 0.250 0.750 W
0.250 0.750 0.250 W
0.500 0.000 0.000 W
0.500 0.500 0.500 W
0.750 0.250 0.250 W
0.750 0.750 0.750 W

=====

SiSb2, optimized geometry, DFT PBE; total magnetization = 0.00 μB/f.u.; raw formation energy = 0.2774 eV per atom; offset from the most stable computed form = 96 meV per atom; total DFT energy (no corrections) = -51.342 eV/cell
1.0
12.338 0.000 0.000
0.000 3.900 0.000
-5.181 0.000 6.611
Si Sb
4 8
direct
0.234 0.000 0.162 Si
0.266 0.500 0.838 Si
0.734 0.500 0.162 Si
0.766 0.000 0.838 Si
0.076 0.000 0.761 Sb
0.155 0.500 0.305 Sb
0.345 0.000 0.695 Sb
0.424 0.500 0.239 Sb
0.576 0.500 0.761 Sb
0.655 0.000 0.305 Sb
0.845 0.500 0.695 Sb
0.924 0.000 0.239 Sb

=====

KAlN2O, optimized geometry, DFT PBE; total magnetization = 4.01 μB/f.u.; raw formation energy = 0.0134 eV per atom; total DFT energy (no corrections) = -26.382 eV/cell
1.0
4.102 0.000 0.000
0.000 4.102 0.000
0.000 0.000 3.797
K Al N O
1 1 2 1
direct
0.000 0.000 0.000 K
0.500 0.500 0.500 Al
0.000 0.500 0.500 N
0.500 0.000 0.500 N
0.500 0.500 0.000 O

=====

Q: Which of these has the highest total DFT energy (no corrections)?
A: KAlN2O

~~~~~

# Rb5CuClO2 | Alexandria | PBE | optimized geometry
# Magnetization (μB/cell): 0.6
# Calculated total energy (eV/atom): -3.3434
# E_form (uncorrected) (meV/atom): -1044
# Volume (Å³ per cell): 301.58
data_Rb5CuClO2
_chemical_formula_sum 'Rb5 Cu1 Cl1 O2'
_space_group_name_H-M_alt 'P 4/m m m'
_space_group_IT_number 123
_space_group_name_Hall '-P 4 2'
_cell_length_a 5.734
_cell_length_b 5.734
_cell_length_c 9.173
_cell_angle_alpha 90.00
_cell_angle_beta 90.00
_cell_angle_gamma 90.00
loop_
_atom_site_label
_atom_site_fract_x
_atom_site_fract_y
_atom_site_fract_z
_atom_site_occupancy
Rb1 0.000 0.000 0.000 1
Rb2 0.000 0.500 0.286 1
Cu1 0.000 0.000 0.500 1
Cl1 0.500 0.500 0.000 1
O1 0.000 0.000 0.300 1

***

# Ba2Sr2C | Alexandria | PBE | optimized geometry
# Magnetization (μB/cell): 2.3
# E_form (eV/atom): 0.74
# Calculated total energy (eV/atom): -2.5500
# Volume (Å³ per cell): 440.52
data_Ba2Sr2C
_chemical_formula_sum 'Ba4 Sr4 C2'
_space_group_name_H-M_alt 'P 4/m b m'
_space_group_IT_number 127
_space_group_name_Hall '-P 4 2ab'
_cell_length_a 7.623
_cell_length_b 7.623
_cell_length_c 7.582
_cell_angle_alpha 90.00
_cell_angle_beta 90.00
_cell_angle_gamma 90.00
loop_
_atom_site_label
_atom_site_fract_x
_atom_site_fract_y
_atom_site_fract_z
_atom_site_occupancy
Ba1 0.180 0.320 0.000 1
Sr1 0.197 0.697 0.500 1
C1 0.000 0.000 0.500 1

***

magnetization of number 1 (Rb5CuClO2)? 0.6 μB/cell

***

Which of these has the highest calculated total energy? Ba2Sr2C